I recently had the pleasure of meeting, and sharing some pizza with, the creator and publisher of WorstPizza.com, a very fine pizza blog out of South Florida that, despite the name, covers the full range of pizza, from worst to best. "Lapp" (his nom de blog) was in town for a conference, in anticipation of which he got in touch with me to see if I'd like to show him around some local pizza places. Well, twist my arm, why doncha?
When I travel outside the Rochester area, I'm always on the lookout for pizza places to check out, but I rarely blog about them, for a number of reasons. In that respect, Lapp takes a much more catholic approach, documenting and reporting on pizza wherever he travels. So for him this would be a "working" occasion.
Though he'd spent some time checking out my blog, Lapp didn't ask to visit any place in particular, but deferred to my judgment and familiarity with the Rochester pizza scene. This was a weighty responsibility, since we only had one night and one lunchtime the following day. Rochester may be a relatively small city, but it's impossible to do justice to our pizza culture in such a short time. The few hours that Lapp and I would spend together would form a lasting impression on him about the state of pizza in Rochester. I won't bore you with the details of how, with some input from Lapp, I settled on these places, but we ended up visiting Joe's Brooklyn Pizza, Tony D's, and The Pizza Stop.
To see what Lapp thought of his pizza at each of those establishments, I refer you to his website (if the reviews aren't up yet, keep checking back. He's generally got a pretty quick turnaround time). Some of my selections were things that I'd had before, like Joe's tomato pie and Pizza Stop's meatball parm pizza, but I did try a couple of new things as well. I've already posted about one of them, The Pizza Stop's spinach-artichoke pizza, and I'll be posting about the other, a tomato pie from Tony D's, soon.
As we worked our way through our respective pizzas, I came to realize a few things about Lapp, and about myself as well. First, he's something of a pizza purist. For him, it's pretty much crust, sauce, cheese, and little else. I like a good cheese slice as much as the next guy, and it's certainly the single best benchmark by which to gauge a pizzeria, but with a few exceptions (primarily mushrooms and eggplant) I'll happily eat pizza with a wide range of toppings, in any number of combinations.
Not so Lapp. One of my primary reasons for taking him to Joe's was that I thought that Joe's Sicilian grandma's pizza would come reasonably close to Lapp's favorite style, "upside down Sicilian," which essentially is simply Sicilian pizza with the sauce on top of the cheese instead of the other way around, but that idea fell through when Lapp found out that the toppings on the grandma's included shallots, a strict no-no for Lapp. While some might find his approach overly rigid or restrictive, I can respect that kind of pizza purity. This is a man who knows what he wants in pizza.
I also began to see that our divergent attitudes toward pizza toppings had a parallel in our pizza criticism. It quickly became apparent to me that Lapp has very exacting standards for his pizza; he's a much tougher critic than I am. Not that he didn't have anything good to say about his pizzas, but after listening to his critiques I began to feel like the Larry King of pizza reviewers.
Am I too easy on local pizzerias?, I wondered. Too generous with my letter grades? If this were college, would I be known as the professor who teaches the "gut" courses?
After thinking it over, several things come to mind. First, all criticism is subjective, especially with something like food, which literally is a matter of taste. I'm sure if Lapp and I shared 100 different pizzas, there would be some that he'd like more than I would. In fact I think I saw a hint of evidence of that concerning one of the places we visited.
**Someone pasted materials data at this point:**
=====
No. 1
# KNbCdFeBr
Calculated X-ray diffraction stick pattern, Cu Kα. Input: the GGA-PBE geometry in Alexandria.

Principal peaks in the range 2θ from 15° to 90°, by angle:
2θ 27.1, I = 62.8, (1 0 0); 2θ 32.0, I = 81.9, (1 0 2); 2θ 37.2, I = 51.9, (1 0 3); 2θ 38.7, I = 100.0, (1 1 0); 2θ 43.7, I = 84.4, (1 0 4); 2θ 52.2, I = 41.0, (1 1 4)

a = 3.2903 Å, b = 3.2903 Å, c = 10.6728 Å
α = 90.00°, β = 90.00°, γ = 90.00°
Space group P4mm (No. 99)
Inequivalent atoms, fractional coordinates:
K 0.0000 0.0000 0.0000 [1 per cell]
Nb 0.5000 0.5000 0.5522 [1 per cell]
Cd 0.5000 0.5000 0.2750 [1 per cell]
Fe 0.0000 0.0000 0.4526 [1 per cell]
Br 0.5000 0.5000 0.7970 [1 per cell]

---

No. 2
# CdGa2Br6
Calculated X-ray diffraction stick pattern, Cu Kα. Input: the GGA-PBE geometry in Alexandria.

Principal peaks in the range 2θ from 15° to 90°, by angle:
2θ 17.3, I = 70.9, (2 2 0); 2θ 18.7, I = 92.6, (3 1 0); 2θ 24.3, I = 67.5, (1 3 1); 2θ 28.0, I = 100.0, (3 3 -1); 2θ 30.3, I = 73.4, (2 0 2); 2θ 43.3, I = 48.6, (5 1 2)

a = 15.2772 Å, b = 13.9840 Å, c = 6.9104 Å
α = 90.00°, β = 98.58°, γ = 90.00°
Space group C2/c (No. 15)
Inequivalent atoms, fractional coordinates:
Cd 0.0000 0.0064 0.2500 [4 per cell]
Ga 0.0811 0.4192 0.2652 [8 per cell]
Br 0.0952 0.1002 0.5402 [8 per cell]
Br 0.1433 0.4330 0.6262 [8 per cell]
Br 0.1592 0.2931 0.1581 [8 per cell]

---

No. 3
# CdGaBrO2
Calculated X-ray diffraction stick pattern, Cu Kα. Input: the GGA-PBE geometry in Alexandria.

Principal peaks in the range 2θ from 15° to 90°, by angle:
2θ 26.3, I = 100.0, (1 1 0); 2θ 26.5, I = 56.8, (1 0 -2); 2θ 29.2, I = 37.3, (1 1 1); 2θ 30.3, I = 64.0, (2 0 1); 2θ 37.5, I = 40.8, (1 0 -3); 2θ 45.9, I = 36.9, (0 2 0)

a = 6.5934 Å, b = 3.9580 Å, c = 7.5485 Å
α = 90.00°, β = 93.54°, γ = 90.00°
Space group P2_1/m (No. 11)
Inequivalent atoms, fractional coordinates:
Cd 0.2022 0.2500 0.0811 [2 per cell]
Ga 0.0367 0.2500 0.6430 [2 per cell]
Br 0.4063 0.2500 0.7717 [2 per cell]
O 0.0022 0.7500 0.6089 [2 per cell]
O 0.0893 0.7500 0.1411 [2 per cell]

---

No. 4
# CdGeBr4
Calculated X-ray diffraction stick pattern, Cu Kα. Input: the GGA-PBE geometry in Alexandria.

Principal peaks in the range 2θ from 15° to 90°, by angle:
2θ 18.6, I = 45.2, (0 2 1); 2θ 30.5, I = 100.0, (2 4 -1); 2θ 31.2, I = 52.7, (0 0 2); 2θ 41.8, I = 23.1, (2 6 -2); 2θ 44.1, I = 35.0, (2 4 1); 2θ 44.2, I = 35.7, (2 4 -3)

a = 8.0309 Å, b = 17.2077 Å, c = 6.9905 Å
α = 90.00°, β = 124.83°, γ = 90.00°
Space group C2/c (No. 15)
Inequivalent atoms, fractional coordinates:
Cd 0.0000 0.0735 0.2500 [4 per cell]
Ge 0.0000 0.4211 0.7500 [4 per cell]
Br 0.2353 0.0530 0.7518 [8 per cell]
Br 0.2366 0.3215 0.7339 [8 per cell]

---

No. 5
# KCdInGeBr
Calculated X-ray diffraction stick pattern, Cu Kα. Input: the GGA-PBE geometry in Alexandria.

Principal peaks in the range 2θ from 15° to 90°, by angle:
=====
Second, Lapp comes at pizza from a different background. He grew up downstate, where excellent pizza is practically a birthright, and world-class pizza isn't hard to find. And he informs me that South Florida is home to many terrific pizzerias as well, thanks in part to all the New York transplants down there. No knock on Western New York, where I was born and raised, but I think that the sum of my pizza experiences has probably led to my personal pizza bar being set a little lower than Lapp's.
When I mentioned that last point to Lapp, he responded that top-notch pizza should not be limited to one geographic area, and that there's no reason that pizza in Rochester should be held to a lower standard than pizza in New York City or anywhere else. True enough, I suppose, but I still maintain that one's background and experiences are bound to shape your tastes and standards in ways that you may not totally be aware of or able to control.
**These data records were left in the page by mistake:**
~~~
1.
Calculated powder diffractogram
Compound: DyCo4Mo
Radiation: Cu Kα (weighted mean of Kα1 and Kα2)
Structure: a structure optimized by DFT (GGA-PBE)
Kinematic intensities with the Lorentz-polarization factor, no thermal factor.

Principal peaks in the range 2θ = 15–90°, by intensity:
2theta, I_rel
43.76, 100
37.06, 56
71.45, 29
78.94, 22
66.80, 20
45.82, 20
22.45, 10
25.97, 4
58.66, 3
83.33, 2
60.33, 2
84.79, 1

Structural model:
Cell: 4.851 4.851 4.851 Å, 60.00 60.00 60.00°
Fractional coordinates of all 6 atoms:
Dy1 0.000 0.000 0.000
Co1 0.124 0.625 0.625
Co2 0.625 0.124 0.625
Co3 0.625 0.625 0.124
Co4 0.625 0.625 0.625
Mo1 0.250 0.250 0.250

2.
Calculated powder diffractogram
Compound: Cd14InPb
Radiation: Cu Kα (weighted mean of Kα1 and Kα2)
Structure: a structure optimized by DFT (GGA-PBE)
Kinematic intensities with the Lorentz-polarization factor, no thermal factor.

Principal peaks in the range 2θ = 15–90°, by intensity:
2theta, I_rel
34.09, 100
39.63, 33
68.38, 25
57.16, 21
39.45, 16
68.13, 12
57.29, 11
71.79, 11
85.37, 3
84.92, 2
16.86, 1
29.44, 1

Structural model:
Cell: 6.433 6.433 9.136 Å, 90.00 90.00 90.05°
Fractional coordinates of all 16 atoms:
Cd1 0.000 0.000 0.000
Cd2 0.000 0.500 0.000
Cd3 0.000 0.500 0.500
Cd4 0.247 0.247 0.240
Cd5 0.247 0.247 0.760
Cd6 0.247 0.753 0.240
Cd7 0.247 0.753 0.760
Cd8 0.500 0.000 0.000
Cd9 0.500 0.000 0.500
Cd10 0.500 0.500 0.000
Cd11 0.753 0.247 0.240
Cd12 0.753 0.247 0.760
Cd13 0.753 0.753 0.240
Cd14 0.753 0.753 0.760
In1 0.000 0.000 0.500
Pb1 0.500 0.500 0.500

Please write out number 2 again, unchanged.
Calculated powder diffractogram
Compound: Cd14InPb
Radiation: Cu Kα (weighted mean of Kα1 and Kα2)
Structure: a structure optimized by DFT (GGA-PBE)
Kinematic intensities with the Lorentz-polarization factor, no thermal factor.

Principal peaks in the range 2θ = 15–90°, by intensity:
2theta, I_rel
34.09, 100
39.63, 33
68.38, 25
57.16, 21
39.45, 16
68.13, 12
57.29, 11
71.79, 11
85.37, 3
84.92, 2
16.86, 1
29.44, 1

Structural model:
Cell: 6.433 6.433 9.136 Å, 90.00 90.00 90.05°
Fractional coordinates of all 16 atoms:
Cd1 0.000 0.000 0.000
Cd2 0.000 0.500 0.000
Cd3 0.000 0.500 0.500
Cd4 0.247 0.247 0.240
Cd5 0.247 0.247 0.760
Cd6 0.247 0.753 0.240
Cd7 0.247 0.753 0.760
Cd8 0.500 0.000 0.000
Cd9 0.500 0.000 0.500
Cd10 0.500 0.500 0.000
Cd11 0.753 0.247 0.240
Cd12 0.753 0.247 0.760
Cd13 0.753 0.753 0.240
Cd14 0.753 0.753 0.760
In1 0.000 0.000 0.500
Pb1 0.500 0.500 0.500

=====

(1)
Starting from a PBE-relaxed structure, the PXRD pattern of In11Hg9Bi4 was calculated for λ = 1.5418 Å (Cu Kα).
No peak broadening, texture or thermal motion is included.

Most intense lines, 10° ≤ 2θ ≤ 90°, by angle:
- 2θ = 31.9°, d 2.804, I = 100, (-1 2 2)
- 2θ = 32.5°, d 2.752, I = 51, (1 -3 3)
- 2θ = 33.5°, d 2.673, I = 42, (1 2 2)
- 2θ = 33.7°, d 2.657, I = 46, (0 1 -5)
- 2θ = 36.8°, d 2.444, I = 30, (2 0 0)
- 2θ = 42.1°, d 2.146, I = 23, (0 5 -1)

```
data_In11Hg9Bi4
_cell_length_a 4.897
_cell_length_b 11.110
~~~
And, quite frankly, while rating pizza is anything but an exact science, I do grade, in part, on a curve, as my grade definitions make clear. An "A," for example, means "great," but it also means "one of the best this area has to offer." An "A" pizzeria here, then, might be a "B" or even lower if it were in New York City or some other pizza mecca.
Finally, there's the matter of personality. On his blog, Lapp also goes by a second pseudonym, "Pizza Expert." Now I do think that Lapp's tongue may have been more than a little in his cheek when he conferred that title on himself; ask him what makes him an expert on pizza, and Lapp will tell you, with a wry grin, that it's because he has a pizza blog and you don't. But as we were eating, it became evident that he tended to zero in on details concerning the crust, cheese and sauce that never would have occurred to me. The "Pizza Expert" moniker may be a little facetious, but I think there's some earnestness behind it too, in the sense that Lapp - who does in fact know a lot about pizza - subjects his pizzas to meticulous scrutiny.
Me, on the other hand, I've said all along that I'm just a guy who loves pizza, eats a lot of it, from a lot of different places, and writes about it. I've learned some stuff along the way, but I've never claimed to be an expert, and I still find it surprising, if not a little ludicrous, to think that this blog may make me appear to be such. So I probably do come at this more as a pizza lover than a pizza critic, to be a little generous with my grades, and to be a little more likely than some to forgive (or not even notice) a few shortcomings in the pizzas I consume.
I suppose, though, that there's as much room for diversity in pizza criticism as in pizza itself. That's especially true in the blogosphere, in which each blog is inevitably a reflection of its creator's personality. What's important, I think, is to set some standards for yourself and to try to adhere to them; to maintain a certain level of consistency in your reviews and integrity in what you write; and to speak with your own voice. I've tried to do that here, if not always as well as I'd like, but I'll keep on trying.
That would be a good place to end this post, but I do want to add one postscript. As I said, by visiting three pizzerias, we could barely scratch the surface of Rochester pizza. And while readers of this blog know how highly I think of both Joe's and The Pizza Stop, it was with some hesitation that I included them both on our mini-tour, since their pizzas are not only very similar to each other, but they also have more in common with New York City pizza than with any style indigenous to Rochester. (For that matter, Tony D's thin-crusted, coal-fired pizza also bears little resemblance to the bready, chewy pies found at more traditional, old-school Rochester pizzerias.)
But various factors, including simple time constraints and physical location, led us to visit those places, and while I consider all three of them to be among Rochester's top tier of pizzerias, there are a number of other establishments that are equally deserving of inclusion on any short list of Rochester's best. I regret that Lapp wasn't able to check out some of those as well before he returned to Florida.
I don't know if there will be a "next time" for Lapp, who had the misfortune to visit Rochester during a particularly dreary stretch of gray, cold, damp and drizzly weather. But you never know. So if you're reading this, Lapp, I want you to know that if you do find yourself back in these parts someday (preferably in summer, which I guarantee you'll find preferable to South Florida's), look me up. We've got more pizzerias to hit.